Pediatricians need to know how to treat heroin addiction

Children are not immune to America’s worst drug epidemic, and CDC data shows the rate of teenagers dying from overdoses is now increasing.

However, pediatricians often do not know how to treat children with opioid use disorder and most rehab centers only treat adults.

The combination leaves teenagers addicted to heroin or prescription painkillers with few places to turn for help.

Experts are cautioning that more pediatricians need to be trained to treat people with drug addictions because the opioid crisis is continuing to devastate communities across the country despite government efforts to control it.

Experts are warning that pediatricians need to be equipped to treat teenagers with substance abuse disorders (file photo)

Dr Sharon Levy is the director of the Adolescent Substance Abuse Program (ASAP) at Boston Children’s Hospital, one of the few centers in the US that treats underage patients who are addicted to substances.

By her estimate, there are only about 10 other facilities that provide the services her program offers teenagers, which include buprenorphine treatment.

Dr Levy also said that a mere 37,000 pediatricians in the US can help children with substance use disorders even though the crisis has always impacted children as well as adults.

‘This epidemic has been affecting teenagers since the beginning,’ she explained, describing a perfect storm that led to increased numbers of children overdosing on opioids.

Among the factors that she mentioned are a greater availability of painkillers and the perception by children that the drugs are harmless because they have a prescription label on them.

ASAP opened its doors in 2000 and began offering medication assisted treatment in 2004. Dr Levy said that before that point it was hard to get the attention of others in the field to convince them of the problem’s severity.

Data from a CDC report highlights the opioid crisis in America: it said that in 2015, for the first time since 2007, the drug overdose death rate among teens aged 15-19 increased

Data from a CDC report highlights the opioid crisis in America: it said that in 2015, for the first time since 2007, the drug overdose death rate among teens aged 15-19 increased

‘We couldn’t really get colleagues interested in doing this work. The treatment is intense,’ she explained.

........
This entry pairs a crystal structure of SmCrTeO6 with its calculated powder diffraction line list. Radiation: λ = 1.5418 Å (Cu Kα). Structure: a PBE+U-relaxed structure.
Neutral-atom scattering factors, no anomalous dispersion.

Atomic structure:
a b c (Å): 5.2202 5.2202 10.0865
angles (deg): 90.00 90.00 120.00
Space group P-31c (No. 163)
Unique sites:
Sm (0.0000, 0.0000, 0.0000)
Cr (0.3333, 0.6667, 0.2500)
Te (0.3333, 0.6667, 0.7500)
O (0.0102, 0.3699, 0.8581)

Peak list (10 most intense, 2θ from 15° to 90°, in order of falling intensity)
- 2θ = 26.48°, rel. 100, hkl 1 0 2
- 2θ = 50.31°, rel. 39, hkl 2 -1 4
- 2θ = 34.36°, rel. 34, hkl 1 1 0
- 2θ = 43.89°, rel. 24, hkl 2 0 2
- 2θ = 56.90°, rel. 23, hkl 3 -1 2
- 2θ = 61.54°, rel. 13, hkl 3 0 0
- 2θ = 21.54°, rel. 11, hkl 1 0 1
- 2θ = 58.58°, rel. 10, hkl 1 0 6
- 2θ = 78.63°, rel. 9, hkl 3 1 2
- 2θ = 80.08°, rel. 8, hkl 2 1 6

***

This entry pairs a crystal structure of SmCrTeO6 with its calculated powder diffraction line list. Radiation: λ = 1.5418 Å (Cu Kα). Structure: a PBE+U-relaxed structure.
Neutral-atom scattering factors, no anomalous dispersion.

Atomic structure:
a b c (Å): 5.4978 5.4978 8.5743
angles (deg): 90.00 90.00 120.00
Space group P-31c (No. 163)
Unique sites:
Sm (0.3333, 0.6667, 0.2500)
Cr (0.0000, 0.0000, 0.0000)
Te (0.3333, 0.6667, 0.7500)
O (0.0517, 0.3559, 0.8785)

Peak list (10 most intense, 2θ from 15° to 90°, in order of falling intensity)
- 2θ = 28.01°, rel. 100, hkl 1 0 2
- 2θ = 32.57°, rel. 72, hkl 1 1 0
- 2θ = 38.92°, rel. 62, hkl 2 -1 2
- 2θ = 54.27°, rel. 56, hkl 1 1 4
- 2θ = 20.72°, rel. 43, hkl 0 0 2
- 2θ = 43.48°, rel. 29, hkl 2 0 2
- 2θ = 55.37°, rel. 28, hkl 3 -1 2
- 2θ = 58.12°, rel. 26, hkl 3 0 0
- 2θ = 18.64°, rel. 24, hkl 1 0 0
- 2θ = 83.56°, rel. 15, hkl 4 -2 4

***

This entry pairs a crystal structure of SrCr10O15 with its calculated powder diffraction line list. Radiation: λ = 1.5418 Å (Cu Kα). Structure: a PBE+U-relaxed structure.
Neutral-atom scattering factors, no anomalous dispersion.

Atomic structure:
a b c (Å): 11.6753 10.4624 9.5436
angles (deg): 90.00 90.00 90.00
Space group Cmce (No. 64)
Unique sites:
Sr (0.0000, 0.0000, 0.0000)
Cr (0.0000, 0.1851, 0.3659)
Cr (0.1270, 0.0829, 0.6456)
Cr (0.2437, 0.1625, 0.1141)
O (0.0000, 0.0000, 0.5000)
O (0.0000, 0.1384, 0.7691)
O (0.1296, 0.2335, 0.5071)
O (0.1311, 0.0919, 0.2585)
O (0.2458, 0.0000, 0.5000)
O (0.2500, 0.1851, 0.7500)

Peak list (10 most intense, 2θ from 15° to 90°, in order of falling intensity)
- 2θ = 30.35°, rel. 100, hkl 1 1 3
- 2θ = 45.61°, rel. 94, hkl 4 2 3
- 2θ = 30.86°, rel. 85, hkl 3 1 2
- 2θ = 40.11°, rel. 73, hkl 4 2 2
- 2θ = 36.48°, rel. 72, hkl 4 2 1
- 2θ = 61.99°, rel. 69, hkl 4 6 0
- 2θ = 52.54°, rel. 68, hkl 4 2 4
- 2θ = 26.15°, rel. 52, hkl 3 1 1
- 2θ = 28.30°, rel. 51, hkl 1 3 1
- 2θ = 32.72°, rel. 50, hkl 1 3 2

***
........

The availability of physicians who know how to treat substance abuse and can also work with children is still staggeringly low. ‘About one percent of the field of addiction medicine are pediatricians,’ Dr Levy said.

But once the work did start, it did not take long for her team to understand how important it was.


In 2015 the drug overdose death rate for teens aged 15 to 19 went up for the first time since 2007.

The rate doubled between 1999 and 2007 but had been decreasing since then, until the 2015 spike.

President Trump has said that America’s opioid crisis is now a ‘national emergency’.

More than a fifth of the female overdose deaths for this age bracket in 2015 were suicides.

About half a million Americans died from drug overdoses between 2000 and 2014.

The drug overdose death rate for males from 1999 to 2007 was consistently higher than that for females.

Dr Levy said what she found surprising about the project was how quickly her colleagues’ outlooks went from ‘I’m not sure I can do this’ to ‘We have to be doing this. This is saving lives’.

At ASAP, patients can be treated up until their 24th birthdays. The youngest patient Dr Levy remembers seeing was a 12-year-old cancer survivor who had gotten hooked on pain medications.

But the average age of patients the clinic treats is around 17 or 18.

While some of the children Dr Levy treats have struggled with severe pain which led to an opioid prescription, most of the time they first tried the drugs recreationally.

Even so, the children usually did not first encounter them illicitly. ‘It almost always starts with prescription medications,’ Dr Levy said.

She said that most of the children she treats first came into contact with other substances, such as marijuana and alcohol, before they tried opioids.

Dr Levy explained how most of the time they started out swallowing prescription opioids but this quickly escalated to shooting heroin into their veins.

‘Kids are particularly vulnerable (to addiction),’ Dr Levy said, stressing that because people’s brains work differently, some are genetically more likely to have an addiction problem than others.

She mentioned cases in which patients had told her that after using substances only one time, they knew they were addicted.

Dr Levy warned that the problem will not go away until children all over the country, rural areas included, have access to pediatricians who can treat substance abuse.

Her hospital is the first to have a fellowship for someone who studies addiction medicine for children. ‘We need more specialists,’ she said.